Recently, and quite unexpectedly, I found myself back in the job market. After the initial shock wore off and the feeling returned to my toes, I came to a startling realization. It hit me that at the age of 55, I’m going to be competing with people who still have acne, have never known life without Starbucks, and have iSomethings permanently attached to their bodies.
Fortunately, I chose a profession where older is a plus. Wrinkles and grey hair on a therapist simply mean that one has experience listening to stories that make one cringe. Despite that, I must admit that the idea of interviewing in order to sell myself to complete strangers had all the charm of a root canal. Let’s be honest, after a certain age, it’s hard to sum up one’s accomplishments in a 20 minute sit-down and not sound like someone who has one foot in retirement.
That being said, all will be well for me, and it was good to blow the dust off the ol’ resume. Additionally, I was able to come up with a list of handy tips in case any other grayer out there is faced with a similar situation. Here’s my top ten ways to land that next job, despite your senior status:
1. Shorten your resume. It's time to drop your early work experiences as there's a good chance that prospective employers are no longer interested in your ability to cook the Colonel’s chicken to golden brown, clean a toilet till it sparkles, or bag groceries with the precision of a NASA engineer. (All jobs I held at one time.)
2. If you’re going to use any of the new fangled ways of interviewing, i.e. FaceTime or Skype, make sure your device’s camera is at, or above, your eye level. No, soon-to-be, employer wants to see the inner workings of your nostrils.
3. Do not refer to this new way of interviewing as “new fangled.” Only old people talk that way.
4. Never, ever, use the phrase "Back in the day" unless the person interviewing you also remembers the Nixon administration.
5. When asked the inevitable, “Where do you see yourself in five years?” resist the urge to respond, "In a nursing home."
6. If prompted to ask questions of your own, do not lead with, "Where's the bathroom?” no matter how weak your aging bladder is.
7. Avoid telling your interviewer that you have bunions as old as he, or she, is. He, or she, won't get the joke, and you’re going to lose them to Google as they search the word bunion.
8. When asked what your greatest accomplishment has been, avoid saying, “Surviving the 80s and disco.” While most likely true, it won’t increase your earning power.
9. When asked for your areas of strength, do not mention your ability to tolerate the impertinence of people younger than you.
10. When asked for areas of weakness, for the love of God, do not mention your knees, hips, back, heart, etc.
• Unrelated to this text: data records:
┌──
[1]
A PBEsol-optimized structure of BaHfSbTe2. Source: the Alexandria database, functional meta-GGA SCAN.

E_tot, eV/atom: -41.587
Crystal system: tetragonal
Space group: P4/mmm, No. 123
Formation energy (no corrections), kJ/mol of atoms: 116.72
Magnetization, μB/f.u.: 0.616

a = 6.0207 Å, b = 6.0207 Å, c = 5.9092 Å
α = 90.00°, β = 90.00°, γ = 90.00°
Last column: nearest neighbours and their distance in Å.
Atoms (fractional coordinates):
Ba 0.0000 0.0000 0.0000  2 Sb 2.95, 4 Te 3.01
Hf 0.5000 0.5000 0.5000  8 Te 4.22, 4 Sb 4.26
Sb 0.0000 0.0000 0.5000  2 Ba 2.95
Te 0.0000 0.5000 0.0000  2 Ba 3.01
Te 0.5000 0.0000 0.0000  2 Ba 3.01



[2]
A PBEsol-optimized structure of Ta2TiW. Source: the Alexandria database, functional meta-GGA SCAN.

E_tot, eV/atom: -54.747
Crystal system: cubic
Space group: Fm-3m, No. 225
ΔH_f (0 K), eV/f.u.: -0.1
Magnetization, μB/f.u.: 0.003

a = 4.5480 Å, b = 4.5480 Å, c = 4.5480 Å
α = 60.00°, β = 60.00°, γ = 60.00°
Last column: nearest neighbours and their distance in Å.
Atoms (fractional coordinates):
Ta 0.2500 0.2500 0.2500  4 W 2.79, 4 Ti 2.79
Ta 0.7500 0.7500 0.7500  4 W 2.79, 4 Ti 2.79
Ti 0.0000 0.0000 0.0000  8 Ta 2.79
W 0.5000 0.5000 0.5000  8 Ta 2.79



[3]
A PBEsol-optimized structure of SiPt2W. Source: the Alexandria database, functional meta-GGA SCAN.

E_tot, eV/atom: -55.277
Crystal system: monoclinic
Space group: P2/m, No. 10
Formation energy (no corrections), kJ/mol of atoms: -24.51
Magnetization, μB/f.u.: 0.000

a = 2.8008 Å, b = 4.0991 Å, c = 5.2713 Å
α = 90.00°, β = 104.68°, γ = 90.00°
Last column: nearest neighbours and their distance in Å.
Atoms (fractional coordinates):
Si 0.0000 0.0000 0.0000  4 Pt 2.48, 2 W 2.65
Pt 0.1132 0.5000 0.7569  2 Si 2.48, 1 Pt 2.62
Pt 0.8868 0.5000 0.2431  2 Si 2.48, 1 Pt 2.62
W 0.5000 0.0000 0.5000  2 Si 2.65, 8 Pt 2.79-2.82, 2 W 2.80



[4]
A PBEsol-optimized structure of LaSc2Cd. Source: the Alexandria database, functional meta-GGA SCAN.

E_tot, eV/atom: -25.653
Crystal system: tetragonal
Space group: P4/mmm, No. 123
ΔH_f (0 K), eV/f.u.: -0.6
Magnetization, μB/f.u.: 0.017

a = 3.4957 Å, b = 3.4957 Å, c = 8.0208 Å
α = 90.00°, β = 90.00°, γ = 90.00°
Last column: nearest neighbours and their distance in Å.
Atoms (fractional coordinates):
La 0.0000 0.0000 0.0000  8 Sc 3.37, 4 La 3.50
Sc 0.5000 0.5000 0.2850  4 Cd 3.01, 4 La 3.37
Sc 0.5000 0.5000 0.7150  4 Cd 3.01, 4 La 3.37
Cd 0.0000 0.0000 0.5000  8 Sc 3.01



- What is the formula in the third record?
  SiPt2W



What did the fourth record say?
A PBEsol-optimized structure of LaSc2Cd. Source: the Alexandria database, functional meta-GGA SCAN.

E_tot, eV/atom: -25.653
Crystal system: tetragonal
Space group: P4/mmm, No. 123
ΔH_f (0 K), eV/f.u.: -0.6
Magnetization, μB/f.u.: 0.017

a = 3.4957 Å, b = 3.4957 Å, c = 8.0208 Å
α = 90.00°, β = 90.00°, γ = 90.00°
Last column: nearest neighbours and their distance in Å.
Atoms (fractional coordinates):
La 0.0000 0.0000 0.0000  8 Sc 3.37, 4 La 3.50
└──
One final note. On the off-chance that the person interviewing you is your age, or older, then, by all means, play the age card. Talk about how you still can’t believe that Hendrix is dead, how you’ve never forgiven Yoko for breaking up the band and how you wouldn’t even be looking for a job if you hadn‘t invested your fortune in 8-Track and Betamax. Happy job hunting!